**Listing:**
=====
LaFe2Si2: optimized geometry, r²SCAN.

Unit cell a=4.039 b=4.039 c=5.732 alpha=110.63 beta=110.63 gamma=90.00
Positions (direct):
La (0.000, 0.000, 0.000)
Fe (0.750, 0.250, 0.500)
Fe (0.250, 0.750, 0.500)
Si (0.649, 0.649, 0.298)
Si (0.351, 0.351, 0.702)

Computed properties:
total moment: 0.000 μB per cell
space-group type: I4/mmm (139)
energy relative to the elements: -0.42 eV per atom
total DFT energy (no corrections): -78.242 eV/f.u.


(1)
Below is a relaxed structure of YAl7Cu5, with properties calculated at the meta-GGA r2SCAN level.

The structure in CIF format:
```
data_YAl7Cu5
_space_group_name_H-M_alt 'I m m 2'
_space_group_IT_number 44
_cell_length_a 5.0760
_cell_length_b 8.6704
_cell_length_c 8.6007
_cell_angle_alpha 90.00
_cell_angle_beta 90.00
_cell_angle_gamma 90.00
loop_
_space_group_symop_operation_xyz
'x,y,z'
'-x,-y,z'
'-x,y,z'
'x,-y,z'
'x+1/2,y+1/2,z+1/2'
'-x+1/2,-y+1/2,z+1/2'
'-x+1/2,y+1/2,z+1/2'
'x+1/2,-y+1/2,z+1/2'
loop_
_atom_site_label
_atom_site_fract_x
_atom_site_fract_y
_atom_site_fract_z
_atom_site_occupancy
Y1 0.0000 0.0000 0.0000 1
Al1 0.0000 0.0000 0.3449 1
Al2 0.0000 0.0000 0.6499 1
Al3 0.0000 0.2903 0.5075 1
Al4 0.0000 0.3480 0.9924 1
Al5 0.0000 0.5000 0.2731 1
Cu1 0.0000 0.5000 0.7273 1
Cu2 0.2485 0.2527 0.2523 1
```

(2)
Below is a relaxed structure of ScCuSn, with properties calculated at the meta-GGA r2SCAN level.

The structure in CIF format:
```
data_ScCuSn
_space_group_name_H-M_alt 'P 63 m c'
_space_group_IT_number 186
_space_group_name_Hall 'P 6c -2c'
_cell_length_a 4.3846
_cell_length_b 4.3846
_cell_length_c 6.9011
_cell_angle_alpha 90.00
_cell_angle_beta 90.00
_cell_angle_gamma 120.00
loop_
_atom_site_label
_atom_site_fract_x
_atom_site_fract_y
_atom_site_fract_z
_atom_site_occupancy
Sc1 0.0000 0.0000 0.0000 1
Cu1 0.3333 0.6667 0.3349 1
Sn1 0.3333 0.6667 0.7311 1
```

Energy of formation, respectively: -0.379 -0.584 eV/atom.
M_tot, respectively: 0.0 0.0 μB per formula unit.
=====

**Assignment:**
Copy the calculation results further up from the line with "Positions (direct):" to the end unchanged.

**Worked solution:**
Positions (direct):
La (0.000, 0.000, 0.000)
Fe (0.750, 0.250, 0.500)
Fe (0.250, 0.750, 0.500)
Si (0.649, 0.649, 0.298)
Si (0.351, 0.351, 0.702)

Computed properties:
total moment: 0.000 μB per cell
space-group type: I4/mmm (139)
energy relative to the elements: -0.42 eV per atom
total DFT energy (no corrections): -78.242 eV/f.u.


(1)
Below is a relaxed structure of YAl7Cu5, with properties calculated at the meta-GGA r2SCAN level.

The structure in CIF format:
```
data_YAl7Cu5
_space_group_name_H-M_alt 'I m m 2'
_space_group_IT_number 44
_cell_length_a 5.0760
_cell_length_b 8.6704
_cell_length_c 8.6007
_cell_angle_alpha 90.00
_cell_angle_beta 90.00
_cell_angle_gamma 90.00
loop_
_space_group_symop_operation_xyz
'x,y,z'
'-x,-y,z'
'-x,y,z'
'x,-y,z'
'x+1/2,y+1/2,z+1/2'
'-x+1/2,-y+1/2,z+1/2'
'-x+1/2,y+1/2,z+1/2'
'x+1/2,-y+1/2,z+1/2'
loop_
_atom_site_label
_atom_site_fract_x
_atom_site_fract_y
_atom_site_fract_z
_atom_site_occupancy
Y1 0.0000 0.0000 0.0000 1
Al1 0.0000 0.0000 0.3449 1
Al2 0.0000 0.0000 0.6499 1
Al3 0.0000 0.2903 0.5075 1
Al4 0.0000 0.3480 0.9924 1
Al5 0.0000 0.5000 0.2731 1
Cu1 0.0000 0.5000 0.7273 1
Cu2 0.2485 0.2527 0.2523 1
```

(2)
Below is a relaxed structure of ScCuSn, with properties calculated at the meta-GGA r2SCAN level.

The structure in CIF format:
```
data_ScCuSn
_space_group_name_H-M_alt 'P 63 m c'
_space_group_IT_number 186
_space_group_name_Hall 'P 6c -2c'
_cell_length_a 4.3846
_cell_length_b 4.3846
_cell_length_c 6.9011
_cell_angle_alpha 90.00
_cell_angle_beta 90.00
_cell_angle_gamma 120.00
loop_
_atom_site_label
_atom_site_fract_x
_atom_site_fract_y
_atom_site_fract_z
_atom_site_occupancy
Sc1 0.0000 0.0000 0.0000 1
Cu1 0.3333 0.6667 0.3349 1
Sn1 0.3333 0.6667 0.7311 1
```

Energy of formation, respectively: -0.379 -0.584 eV/atom.
M_tot, respectively: 0.0 0.0 μB per formula unit.